Cognitive Biases Essay

Submitted By Brinda-Sreedhar
~~~
(1)
Diffraction record for ReH12C4O5F. The PXRD pattern is simulated, not measured: it uses a PBE-relaxed structure and Cu Kα X-rays.
Intensities are scaled so that the largest is 100.

Cell and atoms:
```
data_ReH12C4O5F
_cell_length_a 5.963
_cell_length_b 6.409
_cell_length_c 11.831
_cell_angle_alpha 77.63
_cell_angle_beta 81.86
_cell_angle_gamma 64.10
_symmetry_space_group_name_H-M 'P -1'
_symmetry_Int_Tables_number 2
loop_
_symmetry_equiv_pos_as_xyz
'x,y,z'
'-x,-y,-z'
loop_
_atom_site_label
_atom_site_type_symbol
_atom_site_fract_x
_atom_site_fract_y
_atom_site_fract_z
Re1 Re 0.170 0.096 0.230
H1 H 0.089 0.355 0.845
H2 H 0.092 0.252 0.491
H3 H 0.105 0.131 0.968
H4 H 0.117 0.654 0.385
H5 H 0.212 0.252 0.623
H6 H 0.255 0.050 0.833
H7 H 0.330 0.640 0.635
H8 H 0.347 0.671 0.021
H9 H 0.356 0.468 0.154
H10 H 0.358 0.833 0.504
H11 H 0.478 0.830 0.636
H12 H 0.489 0.342 0.860
C1 C 0.069 0.226 0.586
C2 C 0.095 0.179 0.874
C3 C 0.331 0.812 0.599
C4 C 0.351 0.641 0.116
O1 O 0.090 0.990 0.628
O2 O 0.124 0.324 0.302
O3 O 0.128 0.820 0.160
O4 O 0.338 0.151 0.105
O5 O 0.397 0.850 0.310
F1 F 0.156 0.740 0.838
```

Principal peaks in the range 2θ = 10–90°, in order of rising 2θ:
- 5.769 Å, I 100.0, hkl 0 0 2
- 5.681 Å, I 86.2, hkl 0 1 0
- 5.356 Å, I 32.0, hkl 1 0 0
- 5.081 Å, I 54.4, hkl 1 1 1
- 4.963 Å, I 48.1, hkl 1 0 1
- 4.766 Å, I 65.1, hkl 1 0 -1
- 4.446 Å, I 35.1, hkl 0 1 2
- 4.355 Å, I 41.2, hkl 1 1 -1
- 4.037 Å, I 26.9, hkl 1 0 2
- 3.433 Å, I 27.0, hkl 1 1 3



(2)
Diffraction record for PmSiO3. The PXRD pattern is simulated, not measured: it uses a PBE-relaxed structure and Cu Kα X-rays.
Intensities are scaled so that the largest is 100.

Cell and atoms:
```
data_PmSiO3
_cell_length_a 5.278
_cell_length_b 5.278
_cell_length_c 3.720
_cell_angle_alpha 90.00
_cell_angle_beta 90.00
_cell_angle_gamma 90.00
_symmetry_space_group_name_H-M 'P 4/m b m'
_symmetry_Int_Tables_number 127
_symmetry_space_group_name_Hall '-P 4 2ab'
loop_
_atom_site_label
_atom_site_type_symbol
_atom_site_fract_x
_atom_site_fract_y
_atom_site_fract_z
Pm1 Pm 0.000 0.500 0.000
Si1 Si 0.000 0.000 0.500
O1 O 0.000 0.000 0.000
O2 O 0.249 0.251 0.500
```

Principal peaks in the range 2θ = 10–90°, in order of rising 2θ:
- 3.728 Å, I 47.9, hkl 1 1 0
- 2.636 Å, I 100.0, hkl 2 0 0
- 2.152 Å, I 40.7, hkl 2 0 1
- 1.866 Å, I 22.9, hkl 2 2 0
- 1.860 Å, I 11.3, hkl 0 0 2
- 1.668 Å, I 14.9, hkl 3 1 0
- 1.523 Å, I 25.8, hkl 3 1 1
- 1.520 Å, I 12.8, hkl 2 0 2
- 1.317 Å, I 13.5, hkl 2 2 2
- 1.180 Å, I 11.5, hkl 4 2 0



(3)
Diffraction record for Lu5Ni19B6. The PXRD pattern is simulated, not measured: it uses a PBE-relaxed structure and Cu Kα X-rays.
Intensities are scaled so that the largest is 100.

Cell and atoms:
```
data_Lu5Ni19B6
_cell_length_a 4.9293
_cell_length_b 4.9293
_cell_length_c 17.0409
_cell_angle_alpha 90.00
_cell_angle_beta 90.00
_cell_angle_gamma 120.00
_symmetry_space_group_name_H-M 'P 6/m m m'
_symmetry_Int_Tables_number 191
_symmetry_space_group_name_Hall '-P 6 2'
loop_
~~~
Words: 684
Pages: 3

How cognitive biases and/or suspect group decision-making processes may have affected decision-making and performance at your previous workplace.
As a unanimous decision, we in the product leadership team decided to make the move to the Agile methodology of software product development. We had been doing things the traditional “waterfall” method for the longest time, where each team works to complete their piece and then finally integrates into the final product. The waterfall model was an old way of software development where responsibilities of individuals were clearly defined, the order in which the execution was carried out was important, for example quality checks after the entire development process was complete.
Between two parts of the piece: materials data
- - -
(1)
Starting from a structure optimized by DFT (PBE), the X-ray powder pattern of Sn3SbPd3 was simulated for λ = 1.5418 Å (Cu Kα).
Peak positions follow from Bragg's law for the DFT cell and can differ from measured ones.

Structural model:
```
data_Sn3SbPd3
_space_group_name_H-M_alt 'R -3'
_space_group_IT_number 148
_space_group_name_Hall '-R 3'
_cell_length_a 8.1587
_cell_length_b 8.1587
_cell_length_c 16.5427
_cell_angle_alpha 90.00
_cell_angle_beta 90.00
_cell_angle_gamma 120.00
loop_
_atom_site_label
_atom_site_type_symbol
_atom_site_fract_x
_atom_site_fract_y
_atom_site_fract_z
Sn1 Sn 0.0107 0.7239 0.1061
Sb1 Sb 0.0000 0.0000 0.3351
Pd1 Pd 0.0077 0.6397 0.9376
```

Most intense lines, 2θ from 10° to 80°, sorted by position:
21.8°, d 4.079, I = 32, hkl 1 1 0; 27.2°, d 3.279, I = 16, hkl 1 1 3; 32.5°, d 2.757, I = 12, hkl 0 0 6; 34.0°, d 2.636, I = 24, hkl 3 -1 1; 35.3°, d 2.541, I = 22, hkl 3 -2 2; 38.2°, d 2.355, I = 86, hkl 3 0 0; 39.4°, d 2.284, I = 100, hkl 2 -1 6; 51.0°, d 1.791, I = 11, hkl 0 3 6; 51.6°, d 1.770, I = 12, hkl 1 3 4; 56.1°, d 1.640, I = 24, hkl 2 2 6; 69.9°, d 1.346, I = 15, hkl 5 -1 6; 72.4°, d 1.306, I = 20, hkl 1 1 12


(2)
Starting from a structure optimized by DFT (PBE), the X-ray powder pattern of Sn2SbPd8 was simulated for λ = 1.5418 Å (Cu Kα).
Peak positions follow from Bragg's law for the DFT cell and can differ from measured ones.

Structural model:
```
data_Sn2SbPd8
_space_group_name_H-M_alt 'C 1 2/m 1'
_space_group_IT_number 12
_cell_length_a 14.751
_cell_length_b 4.233
_cell_length_c 6.294
_cell_angle_alpha 90.00
_cell_angle_beta 107.35
_cell_angle_gamma 90.00
loop_
_space_group_symop_operation_xyz
'x,y,z'
'-x,-y,-z'
'-x,y,-z'
'x,-y,z'
'x+1/2,y+1/2,z'
'-x+1/2,-y+1/2,-z'
'-x+1/2,y+1/2,-z'
'x+1/2,-y+1/2,z'
loop_
_atom_site_label
_atom_site_type_symbol
_atom_site_fract_x
_atom_site_fract_y
_atom_site_fract_z
Sn1 Sn 0.201 0.000 0.169
Sb1 Sb 0.000 0.500 0.500
Pd1 Pd 0.030 0.000 0.250
Pd2 Pd 0.092 0.500 0.951
Pd3 Pd 0.166 0.000 0.729
Pd4 Pd 0.170 0.500 0.426
```

Most intense lines, 2θ from 10° to 80°, sorted by position:
37.6°, d 2.395, I = 84, hkl 5 1 -1; 38.4°, d 2.345, I = 24, hkl 6 0 0; 38.8°, d 2.320, I = 100, hkl 1 1 2; 42.6°, d 2.121, I = 16, hkl 5 1 -2; 42.7°, d 2.116, I = 43, hkl 0 2 0; 44.9°, d 2.018, I = 22, hkl 4 0 -3; 45.5°, d 1.993, I = 21, hkl 6 0 1; 63.7°, d 1.461, I = 15, hkl 4 2 -3; 64.2°, d 1.451, I = 17, hkl 6 2 1; 67.5°, d 1.387, I = 7, hkl 2 0 4; 74.8°, d 1.269, I = 12, hkl 5 3 -1; 75.6°, d 1.258, I = 14, hkl 1 3 2


(3)
Starting from a structure optimized by DFT (PBE), the X-ray powder pattern of SnSb3Pd6 was simulated for λ = 1.5418 Å (Cu Kα).
Peak positions follow from Bragg's law for the DFT cell and can differ from measured ones.

Structural model:
```
data_SnSb3Pd6
_space_group_name_H-M_alt 'P 1 21/m 1'
_space_group_IT_number 11
_cell_length_a 9.773
_cell_length_b 3.348
_cell_length_c 12.355
_cell_angle_alpha 90.00
_cell_angle_beta 107.90
_cell_angle_gamma 90.00
loop_
- - -
Back to the piece
The move to Agile was an attempt to revamp the entire development process. In retrospect multiple biases were built into our old software development lifecycle model:
Availability bias: The new feature description was based on inputs collected from few customers all in the UK region, who were easily accessible to the local management team and the information was readily available. We had run into issues because we used “readily” interchangeably with “frequently”.
Optimism bias: As an engineer I had a difficult job estimating, I almost always underestimated my task since these estimates had to be turned in upfront before the project began.
The agile methodology is a software practice that as an organization we adopted to correct some of these oversights/assumptions we had made.
Agile is a procedure heavy methodology, purposely so to ensure that the product/feature development is not done from one engineer’s perspective alone. The project started with a kick-off meeting - which is a planning meeting where the “Product Owner”, in our case the product manager presents a set of features prioritized based on the customer preferences. This was the meeting where we also established timelines for the project. Before we arrived at numbers the task was discussed, the problem and the solution discussed by the team. This exposed the task owner to multiple perspectives, ensured that the same information is reviewed by multiple minds before a solution is finalized and estimated. To improve upon our previous issues with estimation, this time we adopted the “Three-point estimation” technique, which is really a weighted average between the best, most-likely and the worst estimates, with more weight placed on the most-likely estimate. This technique forced me to put in enough buffer by placing the additional weight on the most-likely estimate.
Discussing and reviewing designs with the team ensured that a problem was looked at from at least more than one perspective. My performance improved, it definitely helped me generate